What to do
Your job: quote every line further below that contains the word "homo_lumo_gap_ev".
File
<<<
1.
{
  "formula": "C20H53N6O5",
  "method": "ωB97M-V/def2-TZVPD",
  "homo_lumo_gap_ev": 6.321,
  "charge": 1,
  "lumo_ev": -3.415,
  "e_homo_ev": -9.7,
  "de_lowest_kcal_mol": 87.21,
  "species": ["O", "H", "H", "H", "O", "C", "N", "C", "H", "H", "H", "H", "H", "O", "C", "N", "C", "H", "H", "H", "H", "H", "O", "C", "N", "C", "H", "H", "H", "H", "H", "O", "C", "N", "C", "H", "H", "H", "H", "H", "C", "C", "N", "C", "C", "C", "C", "H", "H", "H", "H", "H", "H", "H", "H", "H", "H", "H", "H", "H", "H", "H", "C", "C", "N", "C", "C", "C", "C", "H", "H", "H", "H", "H", "H", "H", "H", "H", "H", "H", "H", "H", "H", "H"],
  "positions_angstrom": [[-0.5099, -0.8588, -0.4028], [-1.2874, -0.3892, -0.7137], [-0.0754, -1.2218, -1.1781], [-0.8393, -1.5134, 0.2173], [3.3886, -3.8242, -0.1348], [4.0690, -4.5582, -0.8311], [3.9230, -4.5993, -2.1251], [5.2112, -5.4547, -0.2938], [4.6230, -4.8870, -2.7939], [3.1220, -4.0392, -2.3799], [5.0934, -5.4378, 0.7897], [6.1905, -5.0376, -0.5284], [5.1021, -6.4305, -0.7670], [-4.4588, -1.5059, -2.5795], [-5.2640, -1.5267, -3.5021], [-4.8743, -2.0486, -4.6816], [-6.7461, -1.2020, -3.3016], [-3.8956, -2.2823, -4.7685], [-5.5162, -1.9628, -5.4567], [-6.8235, -0.1516, -3.5825], [-7.0169, -1.2562, -2.2472], [-7.4316, -1.8033, -3.8987], [-2.7419, 3.1384, -2.0919], [-3.2618, 4.0934, -2.7151], [-3.3041, 5.3136, -2.2685], [-3.8748, 3.9023, -4.1305], [-3.3956, 6.1683, -2.7988], [-2.9797, 5.4686, -1.3246], [-3.6201, 2.9324, -4.5576], [-3.3709, 4.5991, -4.8004], [-4.9352, 4.1534, -4.1544], [0.7501, -1.6017, -4.4115], [0.5729, -0.8186, -5.2712], [0.3069, -1.2158, -6.5252], [1.0225, 0.6242, -5.0436], [0.0075, -2.1692, -6.6724], [0.5041, -0.6167, -7.3141], [0.7584, 1.2039, -5.9280], [2.1048, 0.6557, -4.9182], [0.5247, 1.0845, -4.1901], [2.8100, 5.2025, 0.3480], [3.2838, 3.8004, 0.7512], [3.4578, 3.5980, 2.1841], [3.7895, 2.1249, 2.2621], [3.8373, 1.6173, 3.7160], [4.3294, 4.5864, 2.8763], [5.7621, 4.6386, 2.3337], [2.6214, 5.2257, -0.7253], [3.6640, 5.8799, 0.3456], [1.9459, 5.6854, 0.8043], [2.4992, 3.1481, 0.3678], [4.1907, 3.5647, 0.1943], [3.1544, 1.4264, 1.7172], [4.7762, 2.0415, 1.8065], [2.9337, 1.8745, 4.2687], [4.0333, 0.5459, 3.6747], [4.7447, 1.9628, 4.2116], [4.5295, 4.2292, 3.8865], [3.8782, 5.5727, 2.9844], [6.4057, 5.0272, 3.1229], [5.7743, 5.4205, 1.5744], [6.2482, 3.7274, 1.9850], [-1.4915, -2.2236, 5.6997], [-1.1610, -1.7877, 4.2845], [-1.9639, -2.4041, 3.1643], [-3.4310, -2.1124, 3.2096], [-3.7100, -0.5742, 3.3436], [-1.7439, -3.8731, 3.2117], [-1.9398, -4.5184, 1.8048], [-2.5651, -2.2399, 5.8869], [-0.9949, -1.6014, 6.4443], [-1.1820, -3.2673, 5.7540], [-1.0384, -0.7134, 4.1462], [-0.1304, -2.1346, 4.2104], [-3.8745, -2.6659, 2.3819], [-3.9275, -2.6242, 4.0340], [-3.2415, -0.0096, 2.5375], [-4.7799, -0.3736, 3.2886], [-3.2536, -0.2512, 4.2793], [-2.5261, -4.2626, 3.8632], [-0.7580, -4.1336, 3.5969], [-2.7680, -4.1067, 1.2281], [-2.2028, -5.5564, 2.0086], [-1.0370, -4.3909, 1.2075]],
>>>
Here it is
  "homo_lumo_gap_ev": 6.321,